Request.
Retype the listing further below without altering anything.
Entries.
- - -
# 1
Density functional theory data (GGA-PBEsol) for crystalline MnSbBr2 at its relaxed geometry.

The spin magnetization comes out at 10.8 Bohr magnetons per cell. The calculation puts the energy above the lowest structure with this stoichiometry at 0.180 eV/atom. The calculation puts the formation energy without anion corrections at 3.4 kJ per mole of atoms. The raw total energy comes out at -4.480 eV per atom. As for the crystal system: tetragonal. The calculation puts the volume at 437 Å³/cell.

The structure belongs to space group I-42d (No. 122); the cell edges are 9.186, 9.186 and 5.177 Å and the angles 90.00°, 90.00° and 90.00°. The inequivalent atoms are Mn at (0.000, 0.000, 0.000), Sb at (0.000, 0.000, 0.500) and Br at (0.104, 0.750, 0.125).

# 2
Density functional theory data (GGA-PBEsol) for crystalline MnSbBr2 at its relaxed geometry.

The spin magnetization comes out at 8.0 Bohr magnetons per cell. The calculation puts the energy above the lowest structure with this stoichiometry at 0.000 eV/atom. The calculation puts the formation energy without anion corrections at -14.0 kJ per mole of atoms. The raw total energy comes out at -4.660 eV per atom. As for the crystal system: orthorhombic. The calculation puts the volume at 236 Å³/cell.

The structure belongs to space group Imm2 (No. 44); the cell edges are 3.475, 5.346 and 12.677 Å and the angles 90.00°, 90.00° and 90.00°. The inequivalent atoms are Mn at (0.000, 0.000, 0.000), Sb at (0.000, 0.500, 0.664), Br at (0.000, 0.000, 0.587) and Br at (0.000, 0.500, 0.362).

# 3
Density functional theory data (GGA-PBEsol) for crystalline MnSbBr at its relaxed geometry.

The spin magnetization comes out at 14.9 Bohr magnetons per cell. The calculation puts the formation energy without anion corrections at 2.2 kJ per mole of atoms. The raw total energy comes out at -5.374 eV per atom. As for the crystal system: orthorhombic. The calculation puts the volume at 288 Å³/cell.

The structure belongs to space group Fmm2 (No. 42); the cell edges are 3.664, 5.570 and 14.121 Å and the angles 90.00°, 90.00° and 90.00°. The inequivalent atoms are Mn at (0.000, 0.000, 0.000), Sb at (0.000, 0.000, 0.639) and Br at (0.000, 0.000, 0.379).

# 4
Density functional theory data (GGA-PBEsol) for crystalline MnSbBr4 at its relaxed geometry.

The spin magnetization comes out at 19.1 Bohr magnetons per cell. The calculation puts the formation energy without anion corrections at 78.9 kJ per mole of atoms. The raw total energy comes out at -2.815 eV per atom. As for the crystal system: cubic. The calculation puts the volume at 627 Å³/cell.

The structure belongs to space group F-43m (No. 216); the cell edges are 8.561, 8.561 and 8.561 Å and the angles 90.00°, 90.00° and 90.00°. The inequivalent atoms are Mn at (0.000, 0.000, 0.000), Sb at (0.250, 0.250, 0.250) and Br at (0.125, 0.125, 0.625).

# 5
Density functional theory data (GGA-PBEsol) for crystalline MnSbBr2 at its relaxed geometry.

The spin magnetization comes out at 8.8 Bohr magnetons per cell. The calculation puts the energy above the lowest structure with this stoichiometry at 0.062 eV/atom. The calculation puts the formation energy without anion corrections at -8.1 kJ per mole of atoms. The raw total energy comes out at -4.598 eV per atom. As for the crystal system: monoclinic. The calculation puts the volume at 215 Å³/cell.

The structure belongs to space group C2/m (No. 12); the cell edges are 12.458, 3.416 and 5.172 Å and the angles 90.00°, 102.59° and 90.00°. The inequivalent atoms are Mn at (0.000, 0.000, 0.000), Sb at (0.000, 0.500, 0.500) and Br at (0.161, 0.500, 0.195).

# 6
Density functional theory data (GGA-PBEsol) for crystalline ScMnBr2 at its relaxed geometry.
- - -
Done.
# 1
Density functional theory data (GGA-PBEsol) for crystalline MnSbBr2 at its relaxed geometry.

The spin magnetization comes out at 10.8 Bohr magnetons per cell. The calculation puts the energy above the lowest structure with this stoichiometry at 0.180 eV/atom. The calculation puts the formation energy without anion corrections at 3.4 kJ per mole of atoms. The raw total energy comes out at -4.480 eV per atom. As for the crystal system: tetragonal. The calculation puts the volume at 437 Å³/cell.

The structure belongs to space group I-42d (No. 122); the cell edges are 9.186, 9.186 and 5.177 Å and the angles 90.00°, 90.00° and 90.00°. The inequivalent atoms are Mn at (0.000, 0.000, 0.000), Sb at (0.000, 0.000, 0.500) and Br at (0.104, 0.750, 0.125).

# 2
Density functional theory data (GGA-PBEsol) for crystalline MnSbBr2 at its relaxed geometry.

The spin magnetization comes out at 8.0 Bohr magnetons per cell. The calculation puts the energy above the lowest structure with this stoichiometry at 0.000 eV/atom. The calculation puts the formation energy without anion corrections at -14.0 kJ per mole of atoms. The raw total energy comes out at -4.660 eV per atom. As for the crystal system: orthorhombic. The calculation puts the volume at 236 Å³/cell.

The structure belongs to space group Imm2 (No. 44); the cell edges are 3.475, 5.346 and 12.677 Å and the angles 90.00°, 90.00° and 90.00°. The inequivalent atoms are Mn at (0.000, 0.000, 0.000), Sb at (0.000, 0.500, 0.664), Br at (0.000, 0.000, 0.587) and Br at (0.000, 0.500, 0.362).

# 3
Density functional theory data (GGA-PBEsol) for crystalline MnSbBr at its relaxed geometry.

The spin magnetization comes out at 14.9 Bohr magnetons per cell. The calculation puts the formation energy without anion corrections at 2.2 kJ per mole of atoms. The raw total energy comes out at -5.374 eV per atom. As for the crystal system: orthorhombic. The calculation puts the volume at 288 Å³/cell.

The structure belongs to space group Fmm2 (No. 42); the cell edges are 3.664, 5.570 and 14.121 Å and the angles 90.00°, 90.00° and 90.00°. The inequivalent atoms are Mn at (0.000, 0.000, 0.000), Sb at (0.000, 0.000, 0.639) and Br at (0.000, 0.000, 0.379).

# 4
Density functional theory data (GGA-PBEsol) for crystalline MnSbBr4 at its relaxed geometry.

The spin magnetization comes out at 19.1 Bohr magnetons per cell. The calculation puts the formation energy without anion corrections at 78.9 kJ per mole of atoms. The raw total energy comes out at -2.815 eV per atom. As for the crystal system: cubic. The calculation puts the volume at 627 Å³/cell.

The structure belongs to space group F-43m (No. 216); the cell edges are 8.561, 8.561 and 8.561 Å and the angles 90.00°, 90.00° and 90.00°. The inequivalent atoms are Mn at (0.000, 0.000, 0.000), Sb at (0.250, 0.250, 0.250) and Br at (0.125, 0.125, 0.625).

# 5
Density functional theory data (GGA-PBEsol) for crystalline MnSbBr2 at its relaxed geometry.

The spin magnetization comes out at 8.8 Bohr magnetons per cell. The calculation puts the energy above the lowest structure with this stoichiometry at 0.062 eV/atom. The calculation puts the formation energy without anion corrections at -8.1 kJ per mole of atoms. The raw total energy comes out at -4.598 eV per atom. As for the crystal system: monoclinic. The calculation puts the volume at 215 Å³/cell.

The structure belongs to space group C2/m (No. 12); the cell edges are 12.458, 3.416 and 5.172 Å and the angles 90.00°, 102.59° and 90.00°. The inequivalent atoms are Mn at (0.000, 0.000, 0.000), Sb at (0.000, 0.500, 0.500) and Br at (0.161, 0.500, 0.195).

# 6
Density functional theory data (GGA-PBEsol) for crystalline ScMnBr2 at its relaxed geometry.